## Brief
Give back the whole of the material underneath without additions.

## Entries
+++
1.
Below is a relaxed structure of Pm2GaAu2, with properties calculated at the PBE-GGA level.

Lattice parameters (Å, degrees): 4.460 7.934 7.595 90.00 107.08 90.00
Atoms (fractional coordinates):
Pm 0.965 0.737 0.931
Pm 0.788 0.347 0.576
Pm 0.212 0.847 0.424
Pm 0.035 0.237 0.069
Ga 0.400 0.099 0.801
Ga 0.600 0.599 0.199
Au 0.425 0.460 0.851
Au 0.820 0.992 0.641
Au 0.180 0.492 0.359
Au 0.575 0.960 0.149

Its total energy is -4.451 eV per atom. For the formation energy, the calculation gives -0.635 eV/atom. The energy relative to the lowest polymorph listed for this composition comes out at 0.113 eV per atom.

---

2.
Below is a relaxed structure of PmGa2Au4, with properties calculated at the PBE-GGA level.

Lattice parameters (Å, degrees): 4.564 6.822 17.800 90.00 90.00 90.00
Atoms (fractional coordinates):
Au 0.250 0.271 0.694
Au 0.750 0.729 0.306
Au 0.750 0.771 0.806
Au 0.250 0.229 0.194
Au 0.250 0.685 0.678
Au 0.750 0.315 0.322
Au 0.750 0.185 0.822
Au 0.250 0.815 0.178
Au 0.250 0.198 0.536
Au 0.750 0.802 0.464
Au 0.750 0.698 0.964
Au 0.250 0.302 0.036
Au 0.250 0.515 0.424
Au 0.750 0.485 0.576
Au 0.750 0.015 0.076
Au 0.250 0.985 0.924
Ga 0.250 0.773 0.537
Ga 0.750 0.227 0.463
Ga 0.750 0.273 0.963
Ga 0.250 0.727 0.037
Ga 0.250 0.969 0.778
Ga 0.750 0.031 0.222
Ga 0.750 0.469 0.722
Ga 0.250 0.531 0.278
Pm 0.750 0.991 0.636
Pm 0.250 0.009 0.364
Pm 0.250 0.491 0.864
Pm 0.750 0.509 0.136

Its total energy is -3.916 eV per atom. For the formation energy, the calculation gives -0.500 eV/atom. The energy relative to the lowest polymorph listed for this composition comes out at 0.000 eV per atom.
+++

## Written answer
1.
Below is a relaxed structure of Pm2GaAu2, with properties calculated at the PBE-GGA level.

Lattice parameters (Å, degrees): 4.460 7.934 7.595 90.00 107.08 90.00
Atoms (fractional coordinates):
Pm 0.965 0.737 0.931
Pm 0.788 0.347 0.576
Pm 0.212 0.847 0.424
Pm 0.035 0.237 0.069
Ga 0.400 0.099 0.801
Ga 0.600 0.599 0.199
Au 0.425 0.460 0.851
Au 0.820 0.992 0.641
Au 0.180 0.492 0.359
Au 0.575 0.960 0.149

Its total energy is -4.451 eV per atom. For the formation energy, the calculation gives -0.635 eV/atom. The energy relative to the lowest polymorph listed for this composition comes out at 0.113 eV per atom.

---

2.
Below is a relaxed structure of PmGa2Au4, with properties calculated at the PBE-GGA level.

Lattice parameters (Å, degrees): 4.564 6.822 17.800 90.00 90.00 90.00
Atoms (fractional coordinates):
Au 0.250 0.271 0.694
Au 0.750 0.729 0.306
Au 0.750 0.771 0.806
Au 0.250 0.229 0.194
Au 0.250 0.685 0.678
Au 0.750 0.315 0.322
Au 0.750 0.185 0.822
Au 0.250 0.815 0.178
Au 0.250 0.198 0.536
Au 0.750 0.802 0.464
Au 0.750 0.698 0.964
Au 0.250 0.302 0.036
Au 0.250 0.515 0.424
Au 0.750 0.485 0.576
Au 0.750 0.015 0.076
Au 0.250 0.985 0.924
Ga 0.250 0.773 0.537
Ga 0.750 0.227 0.463
Ga 0.750 0.273 0.963
Ga 0.250 0.727 0.037
Ga 0.250 0.969 0.778
Ga 0.750 0.031 0.222
Ga 0.750 0.469 0.722
Ga 0.250 0.531 0.278
Pm 0.750 0.991 0.636
Pm 0.250 0.009 0.364
Pm 0.250 0.491 0.864
Pm 0.750 0.509 0.136

Its total energy is -3.916 eV per atom. For the formation energy, the calculation gives -0.500 eV/atom. The energy relative to the lowest polymorph listed for this composition comes out at 0.000 eV per atom.